Upon first hearing of Appreciative Inquiry, participants in the Leadership in Community Development (LICD) Program think of positive thinking, or being optimistic with pretty things in our most direct surroundings.
Appreciate Inquiry motivates people to transform these ideas into attitude or behavior in daily life and at work, and even in the lives of others in our circles of communication.
This article has an aim as such; to apply this methodology!
What is Appreciative Inquiry (AI)?
It is an appreciative method based on searching through points of strength and building on them to develop leadership and organizational change. This method was developed by Suresh Srivastva & David Cooperrider in 1987 in USA, and it has been adopted as theory and organizing mechanism in managing organizations.
Appreciative Inquiry (AI) is a methodology adopted by many organizations and companies that is directly, or indirectly, projected onto individuals, workers, and employees in these entities; hence, it is definitely projected on the communities and surrounding world, as well.
Appreciative Inquiry (AI) calls upon people to focus on what is positive in each situation. Hence, creating opportunities to make effective development take place in the environment they work in. Moreover, discovering available resources and seizing opportunities in their development field of work raise the level of the work of the local community.
Exploring resources through AI – the dream, what is my dream? Based on modules of passion – design, how will I plan? – asking affects direction – direction verification, attaining new skills, empowerment, adapt and go for it!
Appreciative Inquiry (AI) Levels
1st Level: Individual (Me, I)
It is my responsibility to motivate myself so I can look for all the positive characteristics: strengths, qualities, qualifications, or even capabilities that I have that can greatly contribute to my improvement; thus, enabling me reach the best version of myself!
Example: I am a sprinter, and I have 1000 meters to run in a specified time.
I have successfully run 800 meters!
No. 1
## LiTl2Sb2 (PBE-GGA)

Data for crystalline LiTl2Sb2 at its relaxed geometry.

a b c (Å): 7.4206 7.4206 5.3466
angles (deg): 90.00 90.00 90.00
Element x y z (fractional)
Li 0.0000 0.0000 0.0000
Li 0.5000 0.5000 0.0000
Tl 0.1732 0.3268 0.5000
Tl 0.3268 0.8268 0.5000
Tl 0.6732 0.1732 0.5000
Tl 0.8268 0.6732 0.5000
Sb 0.1370 0.6370 0.0000
Sb 0.3630 0.1370 0.0000
Sb 0.6370 0.8630 0.0000
Sb 0.8630 0.3630 0.0000

## Properties
Space-group type   No. 127
Total energy   -3.083 eV per atom

=====

No. 2
## Li3Tl2Sb4 (PBE-GGA)

Data for crystalline Li3Tl2Sb4 at its relaxed geometry.

a b c (Å): 9.4530 7.2739 7.4034
angles (deg): 90.00 109.56 90.00
Element x y z (fractional)
Li 0.0000 0.0000 0.0000
Li 0.0000 0.5000 0.5000
Li 0.2437 0.1611 0.7573
Li 0.2437 0.3389 0.2573
Li 0.7563 0.6611 0.7427
Li 0.7563 0.8389 0.2427
Tl 0.2855 0.6562 0.9155
Tl 0.2855 0.8438 0.4155
Tl 0.7145 0.1562 0.5845
Tl 0.7145 0.3438 0.0845
Sb 0.0058 0.1392 0.3644
Sb 0.0058 0.3608 0.8644
Sb 0.4712 0.0528 0.1719
Sb 0.4712 0.4472 0.6719
Sb 0.5288 0.5528 0.3281
Sb 0.5288 0.9472 0.8281
Sb 0.9942 0.6392 0.1356
Sb 0.9942 0.8608 0.6356

## Properties
Space-group type   No. 14
Total energy   -3.182 eV per atom

=====

In eV/atom, the uncorrected formation energy values for the records above are, in order, -0.105; -0.186.


Entry 1:
A plane-wave DFT calculation with GGA-PBE was carried out for an optimized crystal structure of Al2Cu2Si.

Cell: 4.792 4.792 7.495 Å, 100.33 100.33 58.95°
Sites, in units of the cell vectors:
Al1 0.026 0.283 0.169
Al2 0.283 0.026 0.669
Al3 0.717 0.974 0.331
Al4 0.974 0.717 0.831
Cu1 0.257 0.478 0.499
Cu2 0.478 0.257 0.999
Cu3 0.522 0.743 0.001
Cu4 0.743 0.522 0.501
Si1 0.318 0.682 0.250
Si2 0.682 0.318 0.750

Calculated values
space-group type	C2/c
magnetization	0.00	μB per formula unit
raw total energy	-42.28	eV for the cell shown
ΔE_f (raw)	-8	meV per atom

---

Entry 2:
A plane-wave DFT calculation with GGA-PBE was carried out for an optimized crystal structure of TlMo4Au.

Cell: 5.338 5.338 5.338 Å, 60.00 60.00 60.00°
Sites, in units of the cell vectors:
Tl1 0.000 0.000 0.000
Mo1 0.377 0.377 0.377
Mo2 0.377 0.377 0.870
Mo3 0.377 0.870 0.377
Mo4 0.870 0.377 0.377
Au1 0.750 0.750 0.750

Calculated values
space-group type	F-43m
magnetization	0.00	μB per formula unit
raw total energy	-45.32	eV for the cell shown

---

Entry 3:
A plane-wave DFT calculation with GGA-PBE was carried out for an optimized crystal structure of Cd12In3Bi5.

Cell: 14.955 14.955 14.955 Å, 109.47 109.47 109.47°
Sites, in units of the cell vectors:
Cd1 0.065 0.237 0.130
Cd2 0.065 0.328 0.934
Cd3 0.066 0.630 0.393
Cd4 0.066 0.935 0.672
Cd5 0.107 0.737 0.672
Cd6 0.107 0.870 0.434
Cd7 0.130 0.065 0.237
Cd8 0.130 0.566 0.893
Cd9 0.172 0.237 0.607
Cd10 0.172 0.435 0.566
Cd11 0.237 0.130 0.065
Cd12 0.237 0.607 0.172
Cd13 0.263 0.328 0.893
Cd14 0.263 0.435 0.370
Cd15 0.328 0.893 0.263
Cd16 0.328 0.934 0.065
Cd17 0.370 0.263 0.435
Cd18 0.370 0.607 0.934
Cd19 0.393 0.066 0.630
First thing I think of is how have I crossed 800 meters? What are the factors and qualities that had helped me succeed and build upon to reach a better result next time?
2nd Level: Me & Others
As a community leader, I have the responsibility to motivate others to discover their strengths, resources, and qualities in their characters so they can utilize and build upon them in their lives and in their work.
When planning or implementing work, a person may be asked: “what is it that you know how to do?” not the opposite!
A community leader, and some business owners believe that building others starts with focusing on their strengths and helping them discover these strengths.
3rd Level: Community
How I will interact with the individuals within the circle of my community to shed light on the opportunities, strengths, and resources that they have so that they can deal with crises.
In some communities in the time of war, educational centers were severely demolished.
The community reverted to its resources, strengths, and opportunities that were scattered around in the vicinity. Hence, relying on the education crew it already had, and opening some houses and mosques to resume education for the students. Thus, utilizing available resources in its environment to overcome the challenge.
Importance & Advantages of Appreciative Inquiry (AI) for Institutions, Individuals, and Communities
- Appreciative Inquiry (AI) challenges the conventional way of problem solving “People learn from their mistakes”, for it helps and motivates people to learn from their successes. Instead of asking “What have I done wrong?”, “Where I have hot success?” would be an alternative, and “How can I build on my success?”.
- Focus on the skills and capabilities of those around us: the methodology motivates individuals to concentrate on the strengths they have, and invites them to talk about their accomplishments so they feel proud, and enhance their capacities for the future.
- It challenges the culture of BLAME. Instead of blaming a student for getting 9/10 and losing a mark, it invites us to think of “how have I gained 9 so I can get a 10 next time?”.
Appreciative Inquiry (AI) relies on building on successes and achievements so the work and capacity can be developed for next times.
- It helps people share their stories of success as a way pf progress.
- It also holds us liable to celebrate our successes and considers them the foundation (corner) stone of planning and moving on into the future in a better way.
Appreciative Inquiry (AI) Implementation Mechanism within Communities
In our life, initiatives, activities, voluntary teams, institutions, and projects, Appreciative Inquiry (AI) mainly helps invent new solutions based on what we have already achieved, and build on accomplished positive deeds.
“Our deepest fear is not that we are inadequate. Our deepest fear is that we are powerful beyond measure. It is our light, not our darkness that most frightens us. We ask ourselves, 'Who am I to be brilliant, gorgeous, talented, fabulous?' Actually, who are you not to be? You are a child of God. Your playing small does not serve the world. There is nothing enlightened about shrinking so that other people won't feel insecure around you. We are all meant to shine, as children do. We were born to make manifest the glory of God that is within us. It's not just in some of us; it's in everyone. And as we let our own light shine, we unconsciously give other people permission to do the same. As we are liberated from our own fear, our presence automatically liberates others.”
Marianne Williamson
Lastly, Appreciative Inquiry (AI) never ignores the presence of mistakes, but they do not have to be determinants of how work should go.
We can adopt Appreciative Inquiry (AI) for planning and implementation, and even in our behavior on all levels!